## Listing
+++
# 1
Li3Co2P5O16 at its PBEsol-relaxed geometry, computed with meta-GGA SCAN.

Summary:
- raw formation energy (meV per atom) = -2309
- density of states at the Fermi level (states/eV/cell) = 0.00
- raw total energy (Ry/atom) = -0.717
- total magnetic moment (μB/atom) = 0.231

```
Li3Co2P5O16
1.0
-3.9026 2.7394 -1.3995
-1.7235 -4.7712 -4.5332
-9.4848 -8.5931 12.6503
O Li Co P
32 6 4 10
direct
0.8112 0.3123 0.6418
0.9321 0.0762 0.9302
0.5649 0.5483 0.8925
0.1888 0.6877 0.3582
0.6166 0.7973 0.0169
0.6209 0.9742 0.6301
0.1888 0.3123 0.8582
0.1791 0.1280 0.2002
0.4351 0.5483 0.6075
0.1791 0.8720 0.7002
0.5649 0.4517 0.3925
0.8029 0.3848 0.2053
0.3791 0.0258 0.3699
0.9321 0.9238 0.4302
0.3834 0.7973 0.4831
0.9130 0.6270 0.5672
0.8209 0.8720 0.7998
0.9130 0.3730 0.0672
0.8029 0.6152 0.7053
0.8209 0.1280 0.2998
0.0679 0.0762 0.5698
0.6209 0.0258 0.1301
0.1971 0.3848 0.2947
0.8112 0.6877 0.1418
0.0870 0.3730 0.4328
0.0870 0.6270 0.9328
0.3791 0.9742 0.8699
0.3834 0.2027 0.9831
0.1971 0.6152 0.7947
0.0679 0.9238 0.0698
0.4351 0.4517 0.1075
0.6166 0.2027 0.5169
0.2622 0.3181 0.5331
0.2622 0.6819 0.0331
0.7378 0.3181 0.9669
0.5000 0.0160 0.2500
0.7378 0.6819 0.4669
0.5000 0.9840 0.7500
0.2651 0.1770 0.0899
0.7349 0.8230 0.9101
0.2651 0.8230 0.5899
0.7349 0.1770 0.4101
0.2247 0.8770 0.4145
0.2638 0.4658 0.3765
0.0000 0.7598 0.7500
0.7362 0.4658 0.1235
0.7362 0.5342 0.6235
0.2247 0.1230 0.9145
0.7753 0.1230 0.5855
0.2638 0.5342 0.8765
0.0000 0.2402 0.2500
0.7753 0.8770 0.0855
```

---

# 2
NdSi2Ni9 at its PBEsol-relaxed geometry, computed with meta-GGA SCAN.

Summary:
- raw formation energy (meV per atom) = -460
- density of states at the Fermi level (states/eV/cell) = 19.84
- raw total energy (Ry/atom) = -1.315
- total magnetic moment (μB/atom) = 0.000

```
NdSi2Ni9
1.0
6.1242 0.0000 0.0000
3.0621 6.8519 0.0000
3.0621 0.0000 6.8519
Nd Ni Si
2 18 4
direct
0.5000 0.0000 0.0000
0.2500 0.5000 0.5000
0.6867 0.5791 0.1718
0.0158 0.6718 0.9209
0.1415 0.1718 0.4209
0.6867 0.1718 0.5791
0.0633 0.3282 0.9209
0.7342 0.5791 0.8282
0.0158 0.9209 0.6718
0.7500 0.5000 0.5000
0.4376 0.4209 0.8282
0.0000 0.0000 0.0000
0.3124 0.0791 0.6718
0.6085 0.0791 0.3282
0.3124 0.6718 0.0791
0.0633 0.9209 0.3282
0.4376 0.8282 0.4209
0.7342 0.8282 0.5791
0.1415 0.4209 0.1718
0.6085 0.3282 0.0791
0.8750 0.2500 0.7500
0.8750 0.7500 0.2500
0.3750 0.7500 0.7500
0.8750 0.2500 0.2500
```

---

# 3
NaFe3Te at its PBEsol-relaxed geometry, computed with meta-GGA SCAN.

Summary:
- raw formation energy (meV per atom) = 1565
- relative energy among the computed polymorphs (meV per atom) = 581
- density of states at the Fermi level (states/eV/cell) = 3.44
- raw total energy (Ry/atom) = -1.294
- total magnetic moment (μB/atom) = 1.747

```
NaFe3Te
1.0
4.4564 0.0000 0.0000
0.0000 4.4564 0.0000
0.0000 0.0000 4.4564
Fe Na Te
3 1 1
direct
0.0000 0.5000 0.0000
0.5000 0.0000 0.0000
0.0000 0.0000 0.5000
0.0000 0.0000 0.0000
0.5000 0.5000 0.5000
```

---

# 4
ReSbCl2 at its PBEsol-relaxed geometry, computed with meta-GGA SCAN.

Summary:
- raw formation energy (meV per atom) = 1083
- relative energy among the computed polymorphs (meV per atom) = 824
- density of states at the Fermi level (states/eV/cell) = 2.69
- raw total energy (Ry/atom) = -2.205
- total magnetic moment (μB/atom) = 0.978

```
ReSbCl2
1.0
-3.2368 2.6662 -0.6879
-1.8571 -1.3299 3.5835
2.1679 3.2311 2.3226
Sb Cl Re
1 2 1
direct
0.0000 0.0000 0.5000
0.0000 0.5000 0.0000
0.5000 0.0000 0.0000
0.5000 0.5000 0.5000
```

---

# 5
MnTc2Te at its PBEsol-relaxed geometry, computed with meta-GGA SCAN.

Summary:
- raw formation energy (meV per atom) = 198
- density of states at the Fermi level (states/eV/cell) = 3.45
- raw total energy (Ry/atom) = -2.294
- total magnetic moment (μB/atom) = 0.591

```
MnTc2Te
1.0
3.0021 0.0000 0.0000
0.0000 4.7970 -0.0288
-1.5010 -0.7868 4.2448
Tc Mn Te
2 1 1
direct
0.7644 0.7840 0.5288
0.2356 0.2160 0.4712
0.5000 0.0000 0.0000
0.0000 0.5000 0.0000
```

---

# 6
+++
## To do
Next, find the line earlier on that holds "0.2622 0.3181", then echo that line and all lines after it there.
## Here it is
0.2622 0.3181 0.5331
0.2622 0.6819 0.0331
0.7378 0.3181 0.9669
0.5000 0.0160 0.2500
0.7378 0.6819 0.4669
0.5000 0.9840 0.7500
0.2651 0.1770 0.0899
0.7349 0.8230 0.9101
0.2651 0.8230 0.5899
0.7349 0.1770 0.4101
0.2247 0.8770 0.4145
0.2638 0.4658 0.3765
0.0000 0.7598 0.7500
0.7362 0.4658 0.1235
0.7362 0.5342 0.6235
0.2247 0.1230 0.9145
0.7753 0.1230 0.5855
0.2638 0.5342 0.8765
0.0000 0.2402 0.2500
0.7753 0.8770 0.0855
```

---

# 2
NdSi2Ni9 at its PBEsol-relaxed geometry, computed with meta-GGA SCAN.

Summary:
- raw formation energy (meV per atom) = -460
- density of states at the Fermi level (states/eV/cell) = 19.84
- raw total energy (Ry/atom) = -1.315
- total magnetic moment (μB/atom) = 0.000

```
NdSi2Ni9
1.0
6.1242 0.0000 0.0000
3.0621 6.8519 0.0000
3.0621 0.0000 6.8519
Nd Ni Si
2 18 4
direct
0.5000 0.0000 0.0000
0.2500 0.5000 0.5000
0.6867 0.5791 0.1718
0.0158 0.6718 0.9209
0.1415 0.1718 0.4209
0.6867 0.1718 0.5791
0.0633 0.3282 0.9209
0.7342 0.5791 0.8282
0.0158 0.9209 0.6718
0.7500 0.5000 0.5000
0.4376 0.4209 0.8282
0.0000 0.0000 0.0000
0.3124 0.0791 0.6718
0.6085 0.0791 0.3282
0.3124 0.6718 0.0791
0.0633 0.9209 0.3282
0.4376 0.8282 0.4209
0.7342 0.8282 0.5791
0.1415 0.4209 0.1718
0.6085 0.3282 0.0791
0.8750 0.2500 0.7500
0.8750 0.7500 0.2500
0.3750 0.7500 0.7500
0.8750 0.2500 0.2500
```

---

# 3
NaFe3Te at its PBEsol-relaxed geometry, computed with meta-GGA SCAN.

Summary:
- raw formation energy (meV per atom) = 1565
- relative energy among the computed polymorphs (meV per atom) = 581
- density of states at the Fermi level (states/eV/cell) = 3.44
- raw total energy (Ry/atom) = -1.294
- total magnetic moment (μB/atom) = 1.747

```
NaFe3Te
1.0
4.4564 0.0000 0.0000
0.0000 4.4564 0.0000
0.0000 0.0000 4.4564
Fe Na Te
3 1 1
direct
0.0000 0.5000 0.0000
0.5000 0.0000 0.0000
0.0000 0.0000 0.5000
0.0000 0.0000 0.0000
0.5000 0.5000 0.5000
```

---

# 4
ReSbCl2 at its PBEsol-relaxed geometry, computed with meta-GGA SCAN.

Summary:
- raw formation energy (meV per atom) = 1083
- relative energy among the computed polymorphs (meV per atom) = 824
- density of states at the Fermi level (states/eV/cell) = 2.69
- raw total energy (Ry/atom) = -2.205
- total magnetic moment (μB/atom) = 0.978

```
ReSbCl2
1.0
-3.2368 2.6662 -0.6879
-1.8571 -1.3299 3.5835
2.1679 3.2311 2.3226
Sb Cl Re
1 2 1
direct
0.0000 0.0000 0.5000
0.0000 0.5000 0.0000
0.5000 0.0000 0.0000
0.5000 0.5000 0.5000
```

---

# 5
MnTc2Te at its PBEsol-relaxed geometry, computed with meta-GGA SCAN.

Summary:
- raw formation energy (meV per atom) = 198
- density of states at the Fermi level (states/eV/cell) = 3.45
- raw total energy (Ry/atom) = -2.294
- total magnetic moment (μB/atom) = 0.591

```
MnTc2Te
1.0
3.0021 0.0000 0.0000
0.0000 4.7970 -0.0288
-1.5010 -0.7868 4.2448
Tc Mn Te
2 1 1
direct
0.7644 0.7840 0.5288
0.2356 0.2160 0.4712
0.5000 0.0000 0.0000
0.0000 0.5000 0.0000
```

---

# 6